**Job**
Now search the calculation results underneath for the word "components" and echo each line that has it.

**Given**
/*
Entry 1:
Entry from the Open Molecules 2025 dataset: C24H18BrCl2FN4O6S2Ti as an isolated structure (ωB97M-V/def2-TZVPD).

Last column: natural (NBO) charge in e.
Geometry (Å):
1 Ti 0.521087 -0.078140 0.291636  1.44
2 C -2.072332 -2.271274 3.634886  -0.65
3 C -1.558049 -1.298890 2.608265  -0.16
4 S -0.045970 -1.749068 1.815353  -0.11
5 C -2.205675 -0.193547 2.242158  -0.16
6 C -3.526943 0.218291 2.842354  -0.65
7 S -1.554251 0.843788 0.977996  -0.14
8 H -1.257984 -2.775900 4.154382  0.22
9 H -2.690778 -3.041850 3.166257  0.23
10 H -2.680627 -1.765128 4.385056  0.22
11 H -3.432040 0.433247 3.909534  0.22
12 H -4.273947 -0.570914 2.731323  0.22
13 H -3.918266 1.114461 2.363490  0.23
14 O 6.427765 -2.599299 -0.274289  -0.63
15 C 5.181247 -2.085660 -0.311516  0.38
16 C 4.914996 -0.722118 -0.239439  -0.33
17 C 3.600382 -0.333246 -0.255704  0.11
18 N 2.551330 -1.176445 -0.354098  -0.55
19 C 2.851069 -2.464748 -0.480938  0.20
20 Br 1.460601 -3.696667 -0.811724  0.13
21 C 4.132830 -2.975906 -0.449294  -0.33
22 H 7.071540 -1.888477 -0.175242  0.49
23 H 5.702957 0.015187 -0.160982  0.23
24 H 3.365989 0.718171 -0.189922  0.21
25 H 4.314535 -4.034996 -0.545092  0.25
26 Cl 3.421839 2.089632 3.591899  0.04
27 C 2.650917 2.880183 2.268722  -0.11
28 C 2.791529 4.282889 2.120558  -0.21
29 C 2.195522 4.935287 1.087352  -0.05
30 Cl 2.376363 6.657399 0.936818  0.01
31 C 1.430294 4.225001 0.121814  -0.04
32 C 0.774923 4.793491 -0.992811  -0.11
33 C 0.092851 3.985261 -1.853696  -0.26
34 C 0.059819 2.596166 -1.622334  0.13
35 N 0.649699 2.034632 -0.594299  -0.49
36 C 1.317180 2.844934 0.291712  0.10
37 C 1.900147 2.164660 1.380987  0.34
38 O 1.674198 0.864946 1.435495  -0.74
39 H 3.377246 4.828700 2.846785  0.25
40 H 0.822361 5.862400 -1.152775  0.24
41 H -0.418752 4.386755 -2.716475  0.24
42 H -0.448997 1.939895 -2.314311  0.22
43 F -3.148742 -3.717883 0.457457  -0.30
44 C -3.392958 -2.973857 -0.626457  0.22
45 C -2.412454 -2.350316 -1.274212  0.00
46 N -2.657674 -1.565081 -2.396268  -0.41
47 C -1.657336 -0.821626 -3.175837  -0.32
48 C -0.279703 -0.593422 -2.598651  0.81
49 O 0.583855 -0.150991 -3.315153  -0.59
50 O -0.145389 -0.803325 -1.307314  -0.79
51 C -3.940752 -1.416869 -2.886140  0.79
52 O -4.196518 -0.744857 -3.865864  -0.63
53 N -4.922890 -2.082902 -2.180781  -0.63
54 C -4.780690 -2.881951 -1.049213  0.60
55 O -5.727115 -3.416545 -0.520508  -0.57
56 H -1.395816 -2.421351 -0.925003  0.26
57 H -2.065767 0.177151 -3.340613  0.25
58 H -1.546018 -1.256313 -4.166861  0.24
59 H -5.860618 -1.972981 -2.538456  0.43

Atoms 1-2, force components in eV/Å:
-0.650 -0.516 0.497
-0.017 -0.010 0.024

## Properties
lowest unoccupied orbital energy = -1.3 eV
E_HOMO = -7.359 eV
total charge = 0
energy relative to the best compared isomer or geometry (same formula, charge and spin) = 0.922 eV

***

Entry 2:
Entry from the Open Molecules 2025 dataset: an isolated ion of composition C5H13NP and charge +1 in a non-equilibrium geometry (ωB97M-V/def2-TZVPD).

Last column: Löwdin spin population.
Geometry (Å):
1 C -1.382041 -0.122299 -0.030811  0.67
2 C -1.961178 -1.007923 0.916392  0.12
3 C 1.207523 0.800630 -1.564356  0.00
4 C 1.247714 -1.436583 -0.020805  0.03
5 C 0.647508 1.353269 1.361242  0.03
6 N -2.190313 0.542013 -1.033247  0.95
7 P 0.416730 0.212073 -0.009344  0.10
8 H -2.857999 -0.428954 1.324284  0.03
9 H -2.295116 -1.757047 0.316801  0.03
10 H -1.367140 -1.457559 1.703390  0.00
11 H 1.423504 -0.052926 -2.188452  0.00
12 H 2.028723 1.469140 -1.422811  0.00
13 H 0.426563 1.290741 -2.282839  0.00
14 H 2.296689 -1.208277 0.144399  0.01
15 H 0.755840 -1.564880 -1.047725  0.00
16 H 0.870544 -2.208291 0.574829  0.00
17 H -0.227270 1.923098 1.661794  0.00
18 H 1.576590 2.077808 1.176180  0.00
19 H 0.952014 0.685306 2.176154  0.00
20 H -1.568893 0.890662 -1.755076  0.04

Atoms 1-2, force components in eV/Å:
3.270 1.535 -1.605
-1.214 1.761 2.003

## Properties
lowest unoccupied orbital energy (spin up / spin down) = -2.9 / -6.8 eV
*/

**Written answer**
Atoms 1-2, force components in eV/Å:
Atoms 1-2, force components in eV/Å: